“The banquet given last night at St. John’s Guild house by the juniors of the High school to the seniors was a perfect success.”
“Miss Florence Wells of the class of ’99 acted as toast mistress and gave an address of welcome to the seniors.”
--The Saginaw Evening News, June 18, 1898.

Florence Wells’ association with Arthur Hill High School started before the school was known by that name. When she was a student in the school’s class of ’99, it was known simply as the Westside Saginaw High School. As a teacher at Arthur Hill High School, her career extended to the school’s relocation to the new building on Mackinaw Street.
[Here the page breaks off for materials data]
____________
Computed, not measured: a relaxed Ni3H6SO3 crystal at the PBE with a Hubbard U level of DFT.

Results
relative energy among the computed polymorphs: 155 meV per atom
D(E_F): 0.0 states/eV per cell
symmetry: P1, No. 1
uncorrected energy: -3.85 eV per atom

a = 4.5152 Å, b = 6.6644 Å, c = 6.2308 Å
α = 96.71°, β = 103.50°, γ = 128.72°
Last column: nearest neighbours and their distance in Å.
Fractional coordinates of all 13 atoms:
Ni1 0.1588 0.1906 0.5870  2 H 1.74-1.76
Ni2 0.6977 0.1330 0.1514  1 H 1.68
Ni3 0.5798 0.5513 0.0013  1 H 1.54
H1 0.2049 0.4325 0.7805  1 Ni 1.54
H2 0.1330 0.3538 0.3958  2 Ni 1.68-1.74, 1 H 1.79
H3 0.9053 0.5335 0.6856  1 H 0.76
H4 0.4315 0.7153 0.4883  1 O 0.98
H5 0.7991 0.5788 0.6271  1 H 0.76
H6 0.1262 0.0706 0.9510  1 O 1.03
S1 0.1897 0.9199 0.3111  2 O 1.95-1.99
O1 0.8182 0.9114 0.0668  1 H 1.54
O2 0.3946 0.1921 0.9222  1 H 1.03
O3 0.5612 0.9075 0.5416  1 H 0.98

=====

(1)
Ca4AgHg3: relaxed, GGA-PBE.

Cell: 4.1036 4.7818 11.6799 Å, 90.00 90.00 90.00°
With the nearest neighbours (Å) after each atom.
Space group Pmm2 (No. 25)
Symmetry-distinct sites (fractional):
Ca 0.0000 0.0000 0.0000 (multiplicity 1)  5 Hg 3.21-3.23, 2 Ag 3.25
Ca 0.0000 0.5000 0.2799 (multiplicity 1)  3 Hg 3.19-3.27, 4 Ag 3.24
Ca 0.5000 0.0000 0.4933 (multiplicity 1)  6 Hg 3.23-3.40, 1 Ag 3.24
Ca 0.5000 0.5000 0.7836 (multiplicity 1)  7 Hg 3.22-3.39
Ag 0.5000 0.0000 0.2163 (multiplicity 1)  2 Hg 2.99, 7 Ca 3.24-3.25
Hg 0.0000 0.0000 0.7253 (multiplicity 1)  2 Hg 3.13, 7 Ca 3.21-3.40
Hg 0.0000 0.5000 0.5530 (multiplicity 1)  2 Hg 3.13, 7 Ca 3.19-3.39
Hg 0.5000 0.5000 0.0622 (multiplicity 1)  2 Ag 2.99, 7 Ca 3.23-3.27

Uncorrected energy   -1.938 eV per atom
Total magnetization   0.000 μB per atom
Energy above the lowest structure with this stoichiometry   20 meV per atom


(2)
CaAgHg2: relaxed, GGA-PBE.

Cell: 3.5591 4.8219 5.9432 Å, 90.00 90.45 90.00°
With the nearest neighbours (Å) after each atom.
Space group Pm (No. 6)
Symmetry-distinct sites (fractional):
Ca 0.0000 0.0000 0.0000 (multiplicity 1)  4 Ag 3.30-3.31, 8 Hg 3.33-3.58, 2 Ca 3.56
Ag 0.4955 0.5000 0.7652 (multiplicity 1)  4 Hg 2.82-3.09
Hg 0.4974 0.0000 0.5188 (multiplicity 1)  2 Ag 2.82, 2 Hg 2.91
Hg 0.5041 0.5000 0.2456 (multiplicity 1)  2 Ag 2.86-3.09, 2 Hg 2.91

Uncorrected energy   -1.611 eV per atom
Total magnetization   0.000 μB per atom


(3)
Ca5AgHg6: relaxed, GGA-PBE.

Cell: 9.2360 15.7093 5.2080 Å, 90.00 124.13 90.00°
With the nearest neighbours (Å) after each atom.
Space group C2/m (No. 12)
Symmetry-distinct sites (fractional):
Ca 0.0000 0.0000 0.0000 (multiplicity 2)  8 Hg 3.22-3.24
Ca 0.0000 0.1683 0.5000 (multiplicity 4)  8 Hg 3.23-3.26
Ca 0.0000 0.3384 0.0000 (multiplicity 4)  8 Hg 3.18-3.35
Ag 0.0000 0.5000 0.5000 (multiplicity 2)  8 Hg 3.20-3.25
Hg 0.2479 0.3361 0.7472 (multiplicity 8)  1 Ag 3.20, 7 Ca 3.22-3.35
Hg 0.2494 0.0000 0.7459 (multiplicity 4)  6 Ca 3.18-3.26, 2 Ag 3.21-3.25

Uncorrected energy   -1.669 eV per atom
Total magnetization   0.000 μB per atom
____________
Miss Wells’ obituary provides a concise outline of her life, community involvement and accomplishments and reminds us that her influence extended beyond the walls of Arthur Hill High School:
Wells, Miss Florence E.
903 Court Street.
Former teacher in the Saginaw school system for over 40 years passed away at St. Luke's Hospital Monday morning. Age 87 years. She was born Sept. 18, 1880, in Saginaw, and had lived here all of her life, graduating from Arthur Hill High School and Columbia University Teachers College. She established the Domestic Science and Home Economics Department in the West Side schools about 1905, and later headed that department at Arthur Hill High School until her retirement in 1945. She was a member of St. John's Episcopal Church and taught Sunday School. She was a member of the Episcopal Women’s Service League, and been president of the West Side Teachers Club, and also was a member of the Saginaw Area Home Economics Group, and the American Association of University Women and was an active member of the D.A.R. and the Daughters of 1812.
While it fails to record the lives she impacted during her teaching career and her community involvement, it at least hints at the breadth of her work and accomplishments.
The Recipe: Miss Florence Wells’ Scalloped Sweet Potatoes and Apples

2 c. boiled sweet potatoes, cut in ¼ inch slices
1½ c. thinly sliced sour apples
4 T. butter
½ c. brown sugar
1 tsp. salt
Put ½ of the potatoes in buttered baking dish. Cover with ½ of the apples. Sprinkle with ½ of the sugar, dot with ½ of the butter, sprinkle with ½ of the salt. Repeat and bake in a moderate [375 degree] oven for 1 hour. From Savoring Saginaw.
-For once the CTK staff did not encounter any challenges. Of course, the recipe does not require any unmolding, and this was not the first time we prepared it.
-Note From Tom Trombley –

Several years ago, I made Miss Florence Wells’ Scalloped Sweet Potatoes and Apples for a Thanksgiving dinner. A few days later, while organizing a bookcase, in a frenzy of pre-holiday house cleaning and reading, I was thumbing through my aunt’s 1925 Legenda and discovered Miss Wells’ signature in my aunt’s yearbook – prior to that I was only familiar with the accomplishments of Florence Wells’ well-known sister, Dr. Agnes Wells. My Aunt, Pearl Laundra Baldauf, grew up in Kochville Township and made the daily trek to Arthur Hill High School in the city. She would go on to become a teacher in the Saginaw Township School System. While I do not remember her mentioning Miss Wells, I can imagine her in Miss Wells’ Domestic Science class taking precise, careful notes.